Exercise.
Next, find "1.29 -0.467" and "-2.67 -2.32" in the calculation results further below, and retype these two lines and those between.
File.
+++
(1)
35
Properties=species:S:1:pos:R:3:mulliken_charge:R:1 method="wB97M-V/def2-TZVPD" charge=+1 e_lumo_ev=-5.656 e_tot_ha=-873.3812 homo_energy_ha=-0.3985 max_force_ha_per_bohr=0.0559
C -2.43 -2.27 -4.33 -0.764
C -3.32 -1.91 -3.41 0.013
C -3.09 -1.72 -1.93 -0.956
In -1.13 -0.84 -1.51 1.056
O -1.43 1.08 -0.56 -0.651
C -0.99 1.30 0.61 0.291
C 0.39 1.97 0.86 0.583
C 0.60 3.24 0.04 -1.758
C 1.59 0.98 0.68 -0.990
C 1.73 0.20 2.01 0.703
C 3.00 0.31 2.86 -1.736
C 1.72 -1.30 1.53 -1.463
H -2.63 -2.15 -5.39 0.252
H -1.47 -2.73 -4.07 0.188
H -4.34 -1.75 -3.75 0.298
H -3.90 -1.15 -1.49 0.382
H -3.06 -2.69 -1.42 0.330
H -0.10 -0.58 -2.85 -0.301
H -0.27 -1.89 -0.30 -0.142
H -1.72 1.88 1.21 0.587
H -0.91 0.17 1.29 -0.467
H 0.30 2.24 1.92 0.223
H -0.23 3.94 0.17 0.411
H 0.69 3.00 -1.02 0.375
H 1.52 3.73 0.37 0.455
H 2.49 1.49 0.32 0.550
H 1.35 0.24 -0.09 0.421
H 0.84 0.55 2.60 0.253
H 3.02 1.22 3.46 0.401
H 3.14 -0.55 3.51 0.386
H 3.85 0.32 2.17 0.431
H 1.40 -2.03 2.29 0.251
H 1.10 -1.45 0.61 0.259
H 2.73 -1.62 1.25 0.505
Sn -0.45 -1.22 2.36 0.624



(2)
37
Properties=species:S:1:pos:R:3:mulliken_charge:R:1 method="wB97M-V/def2-TZVPD" e_lumo_ev=0.809 e_tot_ha=-729.4329 homo_energy_ha=-0.3355 e_above_lowest_kcal_mol=7.9 smiles="COCC(=O)O[C@@H](CCN)CCCCN" max_force_ha_per_bohr=0.0078
C -2.83 2.40 1.32 -0.558
O -3.72 1.81 0.38 -0.393
C -3.26 1.79 -0.95 -0.683
C -2.12 0.81 -1.17 0.846
O -2.28 -0.31 -1.59 -0.550
O -0.93 1.35 -0.86 -0.312
C 0.19 0.45 -0.67 0.131
C 1.24 0.81 -1.71 -0.761
C 0.82 0.64 -3.16 -0.634
N 0.44 -0.73 -3.50 -0.666
C 0.70 0.64 0.76 -0.492
C 1.67 -0.46 1.20 -0.709
C 0.99 -1.60 1.96 -0.473
C 1.97 -2.47 2.76 -0.513
N 2.28 -3.75 2.11 -0.565
H -2.36 1.62 1.93 0.186
H -3.42 3.04 1.97 0.296
H -2.06 2.99 0.83 0.270
H -2.97 2.79 -1.29 0.332
H -4.09 1.44 -1.56 0.336
H -0.15 -0.57 -0.79 0.485
H 2.16 0.24 -1.53 0.391
H 1.49 1.86 -1.55 0.319
H 1.68 0.92 -3.77 0.435
H 0.03 1.36 -3.40 0.236
H -0.41 -0.75 -4.05 0.281
H 0.23 -1.27 -2.67 0.278
H -0.17 0.67 1.43 0.012
H 1.17 1.62 0.82 0.358
H 2.43 -0.02 1.85 0.432
H 2.21 -0.87 0.34 0.186
H 0.45 -2.24 1.26 0.220
H 0.25 -1.18 2.64 0.274
H 2.91 -1.92 2.90 0.259
H 1.56 -2.65 3.76 0.306
H 2.18 -4.54 2.74 0.222
H 1.71 -3.91 1.30 0.221



(3)
35
Properties=species:S:1:pos:R:3:mulliken_charge:R:1 method="wB97M-V/def2-TZVPD" charge=+1 e_lumo_ev=-5.077 e_tot_ha=-558.0941 homo_energy_ha=-0.4888 e_above_lowest_kcal_mol=121.7 max_force_ha_per_bohr=0.1209
C 0.57 1.24 1.15 -0.862
N 1.16 0.91 -0.18 0.040
C 0.33 1.09 -1.23 -0.403
N -0.93 0.82 -0.98 -0.250
N -1.62 0.86 0.05 -0.035
C -2.56 -0.21 0.26 1.874
C -3.82 0.21 -0.52 -1.481
C -2.07 -1.49 -0.14 -1.557
C -2.87 -0.17 1.76 -1.830
C 2.38 0.12 -0.42 1.804
C 2.58 -0.30 -1.81 -2.380
C 3.71 0.81 0.00 -1.429
C 2.05 -1.11 0.48 -1.210
H 1.25 0.66 1.84 0.419
H 0.83 2.40 1.36 0.307
H -0.46 0.95 1.23 0.440
H 0.58 1.12 -2.29 0.536
H -3.47 0.38 -1.59 0.382
H -4.57 -0.61 -0.60 0.371
H -4.14 1.16 -0.02 0.398
H -2.67 -2.32 0.15 0.460
H -1.16 -1.77 0.31 0.279
H -1.83 -1.51 -1.34 0.302
H -3.82 -0.71 1.99 0.408
H -2.07 -0.65 2.33 0.404
H -3.11 0.77 2.21 0.468
H 1.73 -0.72 -2.21 0.714
H 2.88 0.52 -2.46 0.414
H 3.40 -1.04 -1.82 0.508
H 3.64 1.20 1.05 0.348
H 3.75 1.77 -0.53 0.416
H 4.51 0.04 -0.32 0.377
H 2.59 -1.14 1.49 0.355
H 0.94 -1.18 0.73 0.076
H 2.28 -2.09 0.05 0.337



(4)
34
Properties=species:S:1:pos:R:3:mulliken_charge:R:1 method="wB97M-V/def2-TZVPD" charge=+1 e_lumo_ev=-3.306 e_tot_ha=-738.0509 homo_energy_ha=-0.4587 e_above_lowest_kcal_mol=65.9 max_force_ha_per_bohr=0.1140
C -2.49 1.57 -1.87 -0.617
C -1.89 1.61 -0.75 -0.220
C -0.09 -3.30 0.06 -0.533
C -1.43 -2.97 -0.44 -0.727
C 0.63 -1.97 -0.08 -0.575
C -1.30 -1.57 -1.14 -0.508
C 1.37 3.24 -0.23 -1.129
C 2.86 0.83 0.95 -1.230
C 0.04 1.27 2.38 -1.126
C 0.10 0.37 -0.52 -0.756
N -0.39 -0.98 -0.05 0.178
Si 1.08 1.48 0.74 0.406
H -3.36 2.13 -2.13 0.313
H -2.16 0.81 -2.59 0.228
H -1.74 2.23 0.05 0.449
H -0.21 -3.79 1.11 0.242
H 0.27 -4.03 -0.57 0.342
H -1.85 -3.78 -1.14 0.374
H -2.05 -2.90 0.45 0.289
+++
Result.
H -0.91 0.17 1.29 -0.467
H 0.30 2.24 1.92 0.223
H -0.23 3.94 0.17 0.411
H 0.69 3.00 -1.02 0.375
H 1.52 3.73 0.37 0.455
H 2.49 1.49 0.32 0.550
H 1.35 0.24 -0.09 0.421
H 0.84 0.55 2.60 0.253
H 3.02 1.22 3.46 0.401
H 3.14 -0.55 3.51 0.386
H 3.85 0.32 2.17 0.431
H 1.40 -2.03 2.29 0.251
H 1.10 -1.45 0.61 0.259
H 2.73 -1.62 1.25 0.505
Sn -0.45 -1.22 2.36 0.624



(2)
37
Properties=species:S:1:pos:R:3:mulliken_charge:R:1 method="wB97M-V/def2-TZVPD" e_lumo_ev=0.809 e_tot_ha=-729.4329 homo_energy_ha=-0.3355 e_above_lowest_kcal_mol=7.9 smiles="COCC(=O)O[C@@H](CCN)CCCCN" max_force_ha_per_bohr=0.0078
C -2.83 2.40 1.32 -0.558
O -3.72 1.81 0.38 -0.393
C -3.26 1.79 -0.95 -0.683
C -2.12 0.81 -1.17 0.846
O -2.28 -0.31 -1.59 -0.550
O -0.93 1.35 -0.86 -0.312
C 0.19 0.45 -0.67 0.131
C 1.24 0.81 -1.71 -0.761
C 0.82 0.64 -3.16 -0.634
N 0.44 -0.73 -3.50 -0.666
C 0.70 0.64 0.76 -0.492
C 1.67 -0.46 1.20 -0.709
C 0.99 -1.60 1.96 -0.473
C 1.97 -2.47 2.76 -0.513
N 2.28 -3.75 2.11 -0.565
H -2.36 1.62 1.93 0.186
H -3.42 3.04 1.97 0.296
H -2.06 2.99 0.83 0.270
H -2.97 2.79 -1.29 0.332
H -4.09 1.44 -1.56 0.336
H -0.15 -0.57 -0.79 0.485
H 2.16 0.24 -1.53 0.391
H 1.49 1.86 -1.55 0.319
H 1.68 0.92 -3.77 0.435
H 0.03 1.36 -3.40 0.236
H -0.41 -0.75 -4.05 0.281
H 0.23 -1.27 -2.67 0.278
H -0.17 0.67 1.43 0.012
H 1.17 1.62 0.82 0.358
H 2.43 -0.02 1.85 0.432
H 2.21 -0.87 0.34 0.186
H 0.45 -2.24 1.26 0.220
H 0.25 -1.18 2.64 0.274
H 2.91 -1.92 2.90 0.259
H 1.56 -2.65 3.76 0.306
H 2.18 -4.54 2.74 0.222
H 1.71 -3.91 1.30 0.221



(3)
35
Properties=species:S:1:pos:R:3:mulliken_charge:R:1 method="wB97M-V/def2-TZVPD" charge=+1 e_lumo_ev=-5.077 e_tot_ha=-558.0941 homo_energy_ha=-0.4888 e_above_lowest_kcal_mol=121.7 max_force_ha_per_bohr=0.1209
C 0.57 1.24 1.15 -0.862
N 1.16 0.91 -0.18 0.040
C 0.33 1.09 -1.23 -0.403
N -0.93 0.82 -0.98 -0.250
N -1.62 0.86 0.05 -0.035
C -2.56 -0.21 0.26 1.874
C -3.82 0.21 -0.52 -1.481
C -2.07 -1.49 -0.14 -1.557
C -2.87 -0.17 1.76 -1.830
C 2.38 0.12 -0.42 1.804
C 2.58 -0.30 -1.81 -2.380
C 3.71 0.81 0.00 -1.429
C 2.05 -1.11 0.48 -1.210
H 1.25 0.66 1.84 0.419
H 0.83 2.40 1.36 0.307
H -0.46 0.95 1.23 0.440
H 0.58 1.12 -2.29 0.536
H -3.47 0.38 -1.59 0.382
H -4.57 -0.61 -0.60 0.371
H -4.14 1.16 -0.02 0.398
H -2.67 -2.32 0.15 0.460